Walking around Jekka's Herbetum you can see that Spring is now around the corner; I noticed, this week, that the Wild Garlic is just emerging. As the ground is too cold and in many cases too wet to work on, now is the ideal time to start looking through your seed packets and planning the season ahead. You can also start taking cuttings, dividing herbs and potting up container herbs. Hopefully you have read our blog about what to do in Autumn and have put your garden into hibernation for the festive period; if not you still have time to do the last tidy up before the busy season begins.
This blog is part of the ‘Jekka’s Seasonal Tips’ series that includes late spring, summer, and autumn and winter. Together they form the basis of Jekka’s guide on how to grow herbs.
Jekka's top tips for growing herbs in early spring
With climate change and the changes in weather patterns it is difficult to advise what you should be doing from one day to the next, you have to be adaptable to cope with the changes. As a sustainable and environmentally conscious herb farm we are particularly susceptible to the ‘unusually warm period’ or the ‘sudden cold snap’ with which the typical gardener has to contend. The prediction is that, due to climate change, there will be an increased frequency of the extremes and therefore, we need to be ever alert and ready with the fleece or watering can.
As the festive period was particularly warm, we experienced a bit of botrytis cinerea, often called grey mould. This is a fungal infection which can often be found growing on old flowers. It easily spreads to neighbouring plants once formed and greenhouses provide an ideal moist, temperate environment for it to grow. Therefore, it is advisable to have a look and carefully cut off any infected stems or dead flowers. Also do not leave any dead material lying around. To reduce humidity increase the ventilation. Here we open the doors of the glasshouse once the outside temperature reaches 7 Deg C during the day.
As the weather warms and the days get ever longer life becomes more abundant and apparent in the garden. However, this year, with our unusually warm weather, life never really went away as it used to and our spring bulbs and garlic are already breaking through the soil and the sap can be seen rising in the trees; did, what we know as winter, actually happen this year? Perhaps this is the new normal that we must work with. However, as any diligent gardener will know, a warm winter, might mean a cold February/March so we should be on our toes to protect tender herbs or new growth with horticultural fleece.
Jekka's top tip is, until we get through March, to be prepared to cover new young plants with horticultural fleece at night if temperatures drop below 0 Deg C.
In the early spring, late winter, there are plenty of things to be getting on with in the garden. To start with, you can have the final tidy up before the busy season starts. We have been cleaning down our hardstandings by power washing simply with water. We do this every year as it removes any unwanted weeds, pests and diseases.
Want to know more? Read Jekka's top tips on being a sustainable gardener.

Fresh herbs are available for use in the kitchen.
By providing a little protection you can soon start having fresh herbs available: for example, there will be new shoots of Angelica, as well as Bay, Chervil, Italian Marjoram, Rosemary and Sage; Sorrel has started coming through along with Salad Burnet and small pickings of Winter Savory; Thyme, especially lemon thyme, and Parsley are also around. Chives start to come up if under protection, and Mint can be available if forced. For the foragers, Wild Garlic is just showing. As with everything else it is early this year.
Want to start a culinary herb garden? Check out Jekka's blog on how.
It is time to start planning and sowing your herb seeds.
Jekka’s top 15 seeds for sowing in early spring, in the cold under protection, not in the garden, include:
Amaranth (Amaranthus tricolor 'Red Army'): an ancient grain whose seeds are of nutritional benefit as they are high in protein and fiber. The young leaved are great in salads.
Borage (Borago officinalis): although hairy on the plant, the hairs dissolve in the mouth and the flavour is of cool cucumber. Alternatively freeze the flowers in ice cubes and use in your summer Pimms.
Celery leaf (Apium graveolens): the young leaves are delicious in salads or when added to mash potato.
Rhubarb Chard (Beta vulgaris 'Ruby Chard'): the leaf can be eaten when young directly in salads or older leaves can be blanched like spinach.
Chicory (Cichorium intybus): add young leaves and flowers to summer dishes or use forced leaves in a winter salad. Braise chicons in butter as a vegetable dish.
Coriander (Coriandrum sativum): both the seeds and leaves are edible, the seeds are warmly aromatic and the leaves have an earthy pungency.
Cornflowers (Centaurea cyanus): the petals of the cornflowers are edible and look attractive scattered over a green salad.
Fennel (Foeniculum vulgare): the seeds can be used in sauces and breads, the leaves in salads, with cooked vegetables or oily fish and the young stems as an extra crunch in salads.
Heartsease (Viola tricolor): the flowers are edible and look attractive in fruit salads or frozen in ice cubes for your summer cocktails.
Between two parts of the page: data records >
/*
# C28H33Br46F4NO2

A structure of composition C28H33Br46F4NO2 (ωB97M-V/def2-TZVPD, the Open Molecules 2025 dataset).

```
114
Properties=species:S:1:pos:R:3:forces:R:3
C -5.0426 -4.0059 -1.6524 1.047 0.780 1.138
C -3.7848 -3.8386 -0.6393 -0.856 -0.480 0.733
C -3.1744 -2.3726 -0.6087 -0.508 0.234 0.053
C -2.3260 -1.9189 -1.8905 -3.153 -0.458 1.215
C -1.4235 -3.1394 -2.3642 1.194 -0.303 -0.206
F -2.2267 -3.9359 -3.2815 1.206 0.720 1.986
C -0.0647 -2.8684 -3.1358 1.010 -1.042 -1.082
C -0.1011 -3.2937 -4.7069 0.723 0.691 0.044
N -3.2935 -1.7629 -3.0421 1.214 1.572 -0.780
C -2.6142 -0.8997 -4.0175 0.371 0.421 -0.933
O -2.7122 -0.8655 -5.2638 -0.126 -0.141 4.496
C -1.6244 0.0377 -3.1323 -0.563 -0.350 -2.154
C -1.7646 -0.4579 -1.5798 1.491 1.740 -3.422
C -0.2846 -0.2313 -1.0229 1.070 0.611 0.482
C -0.1729 0.2619 0.4839 -1.472 -1.568 2.658
O -0.6170 -0.3125 1.4870 1.667 1.855 -4.024
Br 0.7426 2.0191 0.7779 -0.460 -1.140 -0.415
C -2.7391 0.6923 -1.0505 -1.413 1.104 0.788
F -3.1837 0.5552 0.2695 0.914 0.214 -2.510
F -3.9234 0.8314 -1.8458 2.425 -0.476 1.673
F -2.1177 1.9752 -1.1172 -1.027 -3.039 0.162
H -5.7789 -3.1685 -1.3532 0.949 -1.222 -0.734
H -4.6922 -3.9050 -2.7420 -0.687 0.258 2.458
H -5.5471 -5.0105 -1.4433 0.786 1.423 -0.546
H -4.2327 -4.0307 0.4071 0.812 0.364 -1.467
H -3.0104 -4.6796 -0.7760 -1.085 1.397 -0.027
H -4.0733 -1.6492 -0.5431 1.326 -1.030 -0.064
H -2.5583 -2.1472 0.3410 -0.770 -0.630 -1.430
H -1.1712 -3.7820 -1.4430 -0.664 0.852 -1.511
H 0.7395 -3.5530 -2.6724 -1.191 1.169 -0.535
H 0.3560 -1.8197 -3.1114 -0.844 -1.173 0.256
H 0.0081 -4.4165 -4.8527 -0.489 1.498 0.279
H 0.8263 -2.8191 -5.2021 -1.353 -0.709 0.791
H -1.0043 -2.8688 -5.2503 1.099 -0.768 0.776
H -4.2431 -1.4653 -2.7864 0.595 -0.228 -0.249
H -0.5903 0.0238 -3.6030 -1.161 -0.187 0.922
H -2.0164 1.0687 -3.3999 0.497 -1.036 0.834
H 0.3974 -1.1535 -1.1004 -1.341 1.146 0.239
H 0.2190 0.5586 -1.6913 -0.793 -1.103 1.330
C -2.1073 3.0752 -6.1701 -0.166 -0.113 -0.094
Br -2.6977 3.6396 -4.4100 0.155 -0.039 -0.292
Br -2.2141 4.5172 -7.4613 0.104 -0.268 0.309
Br -0.3361 2.2859 -6.1179 -0.264 0.196 0.013
H -2.7930 2.2972 -6.5021 0.214 0.147 0.113
C -3.5362 6.1124 -0.5125 -0.057 0.098 0.075
Br -4.2641 4.4890 -1.2774 0.119 0.263 0.156
Br -2.8755 5.8333 1.2893 -0.089 -0.015 -0.364
Br -2.1887 6.9022 -1.6617 -0.230 -0.202 0.134
H -4.3555 6.8251 -0.4446 0.225 -0.169 -0.022
C -5.9363 -5.9807 2.9461 -0.054 -0.074 0.107
Br -5.4056 -7.8454 2.9681 -0.068 0.388 -0.042
Br -4.4524 -4.8060 3.3706 -0.272 -0.218 -0.068
Br -6.7887 -5.4933 1.2736 0.158 -0.089 0.289
H -6.6790 -5.8512 3.7307 0.192 -0.004 -0.206
C 0.6326 7.0281 -9.5099 0.090 0.029 -0.002
Br -1.2502 7.4608 -9.3392 0.314 -0.060 -0.056
Br 1.3854 6.4138 -7.8318 -0.171 0.080 -0.315
Br 0.9537 5.7681 -10.9481 -0.098 0.205 0.305
H 1.1485 7.9494 -9.7723 -0.150 -0.233 0.066
C -1.4829 -0.7092 4.7983 0.002 0.133 -0.206
Br -2.8981 0.3047 5.6513 0.282 -0.258 -0.134
Br -0.3024 -1.5336 6.0989 -0.344 0.104 -0.124
Br -2.1834 -2.0048 3.5399 0.009 0.096 0.427
*/
Pot Marigold (Calendula officinalis): this sunny little flower is edible and has a nutty taste; it is good in salads, omelettes or sweet marigold buns.
Purslane (Portulaca oleracea): the leaves of purslane are quite remarkable and have the flavour and texture of fresh mangetout.
Poppies (Papaver rhoeas): the ripe seeds are often used in the baking of breads, cakes or biscuits to add a pleasant nutty flavour.
Red Orach (Atriplex hortensis var. rubra): an attractive border plants whose young leaves can be used in salads or older leaves, blanched like spinach, can be used as a vegetable or in a soup.
Red Frills Mustard (Brassica juncea 'Red Frills'): the mustard leaves have a distinctive warm peppery taste and the flowers have a mild mustard flavour. Great added to sandwiches; especially with pork.
- Sorrel (Rumex acetosa): Excellent herb to experiment with, use in soups, omelettes, fish sauces and with poultry and pork.
See Jekka’s top culinary herb seeds or browse the entire collection as well as Jekka’s how to video on sowing seeds for more information.
Want to know more? Read more about culinary herbs in Jekka's Guide to Culinary Herbs or try some of our herb-based recipes.
Perfect moment to propagate your herbs
You can take root cuttings of Mint, French Tarragon, Bergamot, Tansy, Jiaogulan (Sweet Tea Vine), Sweet Woodruff and Sweet Cicely.
You can divide herbaceous perennials such as Yarrow, English Mace, Mint, French Tarragon, Lovage, Sorrel, Sweet Cicely and Lemon Balm. If you are reading this after a cold period, make sure they are not too frozen and are given added protection after replanting.
If you would like more hands-on practical information on taking cuttings, sowing seeds or dividing herbs check-out Jekka’s Master Class on How to Grow Herbs or, if you wish to start a family herb patch, try our new 'Sow it, Grow it. Eat it.' Master Class for adult and child.
Care and prepare your herbs
Maintain your plants in containers. If the containers have been brought in for the winter or protected against a wall or with fleece, new life might be starting. Help them along by ensuring all old, dead growth is removed or trimmed back. If required, water, but not too much as over-watering often causes mould and botrytis, and feed with liquid seaweed. Re-pot if necessary, into containers for display later in the season.
Prepare the garden by raking over the soil to disturb any early weeds and, if your soil is alkaline (check out Jekka’s Guide to Soil) and you gave it a good dressing of manure in the Autumn, now is the time to dig it in well. Also, remove any black polythene that you might have put down.
It is also time to start checking on your herbs as they wake up from hibernation mode.
Jekka's early spring herb action list
Here is a summary of Jekka's spring, late winter, action list:
- Go on a walk about and check for signs of new life or the appearance of pest and disease. In particular check for the lavea of Rosemary beetle and remove them.
Rosemary beetle larvae
- Repair, maintain, clean and sharpen your tools - check out our gifts for gardeners, perfect for this coming Valentines or Mother's day!
- Clean the glasshouse, hardstandings, pots, and sowing and propagating equipment. We simply use water.
- Lift any terracottas as we are starting to have frosts.
- Clean up any leftover debris or dead plants.
- Install water butts and start collecting water.
- Create a composting area.
Want to know more?
You can find more ideas in Jekka’s blog and videos as well as Jekka's book 'A Pocketful of Herbs' or Jekka's Complete Herb Book, browsing Jekkapedia and exploring our herb based recipes.
Alternatively, come and visit the herb farm in South Gloucestershire at one of our Open Days, Master Classes or Herb Experiences (see our events calendar).
Herb plants are available and you can organise a collection from our herb farm in South Gloucestershire or at one of our Open Days. Please see our 'Looking Good List' for availability and use our webform or email your list directly to us (sales@jekkas.com). We no longer offer a general mail order service for our plants but we do offer a limited selection of Jekka's Culinary Herb Boxes.
Ensure you subscribe to our newsletter to find out what we have in store for the year.